Wednesday, December 18, 2013

Dynamic Custom Fields and the RGFQ

Part of the problem with Custom Fields is that they're so custom! So they change. A lot. Meaning reporting on them isn't exactly easy without a lot of work. So here's a little snippet I cooked up with Alex's help to query the members of a tag with their values for any custom fields that happen to be on the Tag:

DECLARE @profile_id INT
SET @profile_id = 350


SELECT @fields=COALESCE(@FIELDS+',','')+'['+x.title+']'
core_profile_member_field AS cpmf
JOIN core_profile AS cpro ON cpro.profile_id=cpMf.profile_id
JOIN core_profile_member AS cpm ON cpm.profile_id=cpro.profile_id
LEFT OUTER JOIN core_profile_member_field_value AS cpmfv ON cpmfv.custom_field_id=cpmf.custom_field_id AND cpmfv.profile_id=cpmf.profile_id AND cpmfv.person_id=cpm.person_id
JOIN core_person AS cp ON cp.person_id=cpm.person_id
JOIN core_custom_field AS ccf ON ccf.custom_field_id=cpmf.custom_field_id
WHERE cpro.profile_id=@profile_id
) AS x

SET @sql = 'SELECT *
SELECT cp.person_id, cp.last_name+'', ''+cp.first_name AS [person_name], ccf.title, REPLACE(ISNULL(cpmfv.selected_value,''''),''^'','' '') AS selected_value
FROM core_profile_member_field AS cpmf
JOIN core_profile AS cpro ON cpro.profile_id=cpMf.profile_id
JOIN core_profile_member AS cpm ON cpm.profile_id=cpro.profile_id
LEFT OUTER JOIN core_profile_member_field_value AS cpmfv ON cpmfv.custom_field_id=cpmf.custom_field_id AND cpmfv.profile_id=cpmf.profile_id AND cpmfv.person_id=cpm.person_id
JOIN core_person AS cp ON cp.person_id=cpm.person_id
JOIN core_custom_field AS ccf ON ccf.custom_field_id=cpmf.custom_field_id
WHERE cpro.profile_id = @profileID
) AS s
FOR [title] IN ('+@fields+')
) AS p'


SET @parameters = '@profileID INT'

EXEC sp_executesql @sql=@sql, @params=@parameters, @profileID=@profile_id

There's actually a lot of room for expansion from this point, including adding custom field groups, an active-only option, or adapting it to work for Groups/Missions/Appointments/etc. Maybe I'll come back and post some of those later.

Friday, August 30, 2013

Who is "AS-IP" and why is he in my DB?

Random tidbit for the day: if you're looking around in secu_permission and you see the username "AS-IP", that's the user for the Cascade Security buttons throughout Arena. Not sure why that username was chosen, there's probably something back in dark antiquity that makes sense, but heck this is just an information post, not an explanation.

Monday, August 12, 2013

Security Laws

I just ran across the Ten Immutable Laws Of Security from TechNet (Link):

  1. If a bad guy can persuade you to run his program on your computer, it's not solely your computer anymore.
  2. If a bad guy can alter the operating system on your computer, it's not your computer anymore.
  3. If a bad guy has unrestricted physical access to your computer, it's not your computer anymore.
  4. If you allow a bad guy to run active content in your website, it's not your website any more.
  5. Weak passwords trump strong security.
  6. A computer is only as secure as the administrator is trustworthy.
  7. Encrypted data is only as secure as its decryption key.
  8. An out-of-date antimalware scanner is only marginally better than no scanner at all.
  9. Absolute anonymity isn't practically achievable, online or offline.
  10. Technology is not a panacea.
Several of these pop out in the context of Arena.

#4 is the reason I hate iframes for anything that doesn't come from your servers. It's also why Arena has built in approval systems for pretty much everything that gets posted as content and I very much frown upon any attempts to ignore/bypass that approval process.

#5 is the reason I encourage everyone to increase the minimum requirements on the password complexity RegEx. 8+ minimum characters is still fairly reasonable for a password, and if you're doing online giving or anything involving money my password in your system is going to run the full gamut of upper & lower case, alphanumeric, special characters, and 16+ character length options, but a combination of #5 and #7 means my password security doesn't really matter if an administrator with  "pass1" as their password gets compromised. While you can't view their actual passwords, you can view the salted hash result in SQL, and I highly encourage you to go create a login on a security-less record and then rotate through a couple of common passwords comparing the hash of that user's results to other passwords in your database (basically a smaller version of a rainbow table attack, but the goal is to force people to have good security). If you can guess their password in the first 20 or so that you come up with (suggestion: "password" + month numbers), they need to change that.

#6 is one that I think applies in two ways. First: it is categorically impossible to completely prevent your Arena Administrator (read: person in charge of administrating Arena, not just the security role) from being able to view something in the database (such as SSNs, Counseling records, or even secured notes) as long as they have access to the Security Roles area. But you can't lock them out of Security Roles because then they'd be unable to do their job. So if you don't trust someone 100% (I'd say 110% but then my OCD kicks in), don't make them your database administrator. Second: There is such a thing as a system that is too secure. You should have a record in your system first name "HitBy", last name "ABus", with an inactive record status. This record should have an active login with a long and complex username and password, should be a Global Admin, and that login's information should be stored away in a firesafe somewhere off-site. If you only have one administrator who can access your SQL database to get at that information, you really need a backup access mechanism in case that person leaves suddenly (for any reason, voluntary or not) and you really need access to your data immediately.

Thursday, August 8, 2013

Cascade Pages... And Modules!

So Arena's been able to Cascade Permissions on a bunch of things for a while, but what's been missing the entire time has been Module permissions when cascading Page permissions. Well, this sproc update will change that:

IF  EXISTS (SELECT * FROM sys.objects WHERE object_id = OBJECT_ID(N'[dbo].[secu_sp_cascadePagePermissions]') AND type in (N'P', N'PC'))
DROP PROCEDURE [dbo].[secu_sp_cascadePagePermissions]

CREATE PROC [dbo].[secu_sp_cascadePagePermissions]
@parent INT,
@OrganizationID int



DELETE FROM dbo.secu_permission
WHERE object_type=2 AND object_key in (SELECT module_instance_id FROM port_module_instance WHERE page_id=@parent AND organization_id=@OrganizationID) and organization_id = @OrganizationID

INSERT INTO dbo.secu_permission (created_by, modified_by, object_type, object_key, operation_type, subject_type, subject_key, organization_id)
SELECT DISTINCT 'AS-IP', 'AS-IP',2, module_instance_id, operation_type, subject_type, subject_key, @OrganizationID
FROM dbo.secu_permission AS sp
JOIN dbo.port_module_instance AS pmi ON pmi.page_id=@parent AND sp.object_type=1 AND pmi.organization_id=sp.organization_id
WHERE sp.object_key=@parent
AND sp.organization_id = @OrganizationID

DELETE FROM dbo.secu_permission
WHERE object_type = 2 AND object_key IN (SELECT child.module_instance_id FROM port_module_instance AS child JOIN port_module_instance AS parent ON parent.module_instance_id=child.parent_module_instance_id AND parent.organization_id = child.organization_id WHERE parent.page_id = @parent AND parent.organization_id =@OrganizationID) AND organization_id = @OrganizationID

INSERT INTO dbo.secu_permission (created_by, modified_by, object_type, object_key, operation_type, subject_type, subject_key, organization_id)
SELECT DISTINCT 'AS-IP', 'AS-IP',2, child.module_instance_id, operation_type, subject_type, subject_key, @OrganizationID
FROM dbo.secu_permission AS sp
JOIN dbo.port_module_instance AS pmi ON pmi.page_id=@parent AND sp.object_type=1 AND pmi.organization_id=sp.organization_id
JOIN dbo.port_module_instance AS child ON child.parent_module_instance_id=pmi.module_instance_id AND child.organization_id=pmi.organization_id
WHERE sp.object_key=@parent
AND sp.organization_id = @OrganizationID

WITH pageTree (page_id) AS (
SELECT page_id
FROM port_portal_page
WHERE organization_id=@OrganizationID
AND parent_page_id=@parent
SELECT p.page_id
FROM port_portal_page AS p
JOIN pageTree AS t ON t.page_id=p.parent_page_id
WHERE p.organization_id=@OrganizationID)
SELECT page_id FROM pageTree;

OPEN PageCursor

== Misplaced materials data ==
+++
(1)
DFT (SCAN) results for a PBEsol-optimized structure of Mg2In2Pb.

Output
SG = P4/mbm, No. 127
E_tot = -30.59 eV/atom
Mass density = 6.6 g cm⁻³
Calculated formation energy = -91 meV per atom
Total moment = 0.00 μB per cell

Lattice parameters (Å, degrees): 8.5883 8.5883 3.3254 90.00 90.00 90.00
Sites, in units of the cell vectors:
1 Mg 0.1724 0.3276 0.0000
2 Mg 0.3276 0.8276 0.0000
3 Mg 0.6724 0.1724 0.0000
4 Mg 0.8276 0.6724 0.0000
5 In 0.1266 0.6266 0.5000
6 In 0.3734 0.1266 0.5000
7 In 0.6266 0.8734 0.5000
8 In 0.8734 0.3734 0.5000
9 Pb 0.0000 0.0000 0.5000
10 Pb 0.5000 0.5000 0.5000


(2)
DFT (SCAN) results for a PBEsol-optimized structure of BiRhO3.

Output
SG = Pnma, No. 62
E_tot = -27.26 eV/atom
Mass density = 10.0 g cm⁻³
Formation energy without anion corrections = -507 kJ/mol of formula units
Total moment = 0.00 μB per cell

Lattice parameters (Å, degrees): 5.8557 7.6864 5.3127 90.00 90.00 90.00
Sites, in units of the cell vectors:
1 Bi 0.0704 0.2500 0.0204
2 Bi 0.4296 0.7500 0.5204
3 Bi 0.5704 0.2500 0.4796
4 Bi 0.9296 0.7500 0.9796
5 Rh 0.0000 0.0000 0.5000
6 Rh 0.0000 0.5000 0.5000
7 Rh 0.5000 0.0000 0.0000
8 Rh 0.5000 0.5000 0.0000
9 O 0.0427 0.7500 0.3831
10 O 0.1873 0.5406 0.8280
11 O 0.1873 0.9594 0.8280
12 O 0.3127 0.0406 0.3280
13 O 0.3127 0.4594 0.3280
14 O 0.4573 0.2500 0.8831
15 O 0.5427 0.7500 0.1169
16 O 0.6873 0.5406 0.6720
17 O 0.6873 0.9594 0.6720
18 O 0.8127 0.0406 0.1720
19 O 0.8127 0.4594 0.1720
20 O 0.9573 0.2500 0.6169


(3)
DFT (SCAN) results for a PBEsol-optimized structure of Ca2TlFe.

Output
SG = Amm2, No. 38
E_tot = -27.45 eV/atom
Mass density = 5.3 g cm⁻³
Calculated formation energy = 1 meV per atom
Total moment = 2.48 μB per cell

Lattice parameters (Å, degrees): 4.5168 6.0505 6.0505 39.79 90.00 90.00
Sites, in units of the cell vectors:
1 Ca 0.0000 0.0000 0.0000
2 Ca 0.5000 0.2965 0.2965
3 Tl 0.5000 0.5860 0.5860
4 Fe 0.0000 0.7070 0.7070


(4)
DFT (SCAN) results for a PBEsol-optimized structure of As2HSe2.

Output
SG = I4/mmm, No. 139
E_tot = -16.11 eV/atom
Mass density = 4.1 g cm⁻³
Total moment = 1.00 μB per cell

Lattice parameters (Å, degrees): 6.2422 6.2422 6.2422 133.75 133.75 67.48
Sites, in units of the cell vectors:
1 As 0.2500 0.7500 0.5000
2 As 0.7500 0.2500 0.5000
3 H 0.0000 0.0000 0.0000
4 Se 0.3357 0.3357 0.0000
5 Se 0.6643 0.6643 0.0000


(5)
DFT (SCAN) results for a PBEsol-optimized structure of Cu2ClO.

Output
SG = I-42d, No. 122
E_tot = -11.72 eV/atom
Mass density = 5.1 g cm⁻³
Formation energy without anion corrections = -221 kJ/mol of formula units
Total moment = 2.03 μB per cell

Lattice parameters (Å, degrees): 6.1341 6.1341 6.1341 134.60 134.60 66.15
Sites, in units of the cell vectors:
1 Cu 0.0213 0.6250 0.8963
2 Cu 0.3750 0.2713 0.3963
3 Cu 0.7287 0.1250 0.1037
4 Cu 0.8750 0.9787 0.6037
5 Cl 0.2500 0.7500 0.5000
6 Cl 0.5000 0.5000 0.0000
7 O 0.0000 0.0000 0.0000
8 O 0.7500 0.2500 0.5000


(6)
DFT (SCAN) results for a PBEsol-optimized structure of MnCoNi2.

Output
SG = Cmmm, No. 65
+++

INTO @page



  DELETE FROM dbo.secu_permission
  WHERE object_type=1 AND object_key=@page and organization_id = @OrganizationID

  INSERT INTO dbo.secu_permission (created_by, modified_by, object_type, object_key, operation_type, subject_type, subject_key, organization_id)
  SELECT 'AS-IP', 'AS-IP',object_type, @page, operation_type, subject_type, subject_key, @OrganizationID
  FROM dbo.secu_permission
  WHERE object_type=1
  AND object_key=@parent
  AND organization_id = @OrganizationID

  DELETE FROM dbo.secu_permission
  WHERE object_type=2 AND object_key in (SELECT module_instance_id FROM port_module_instance WHERE page_id=@page AND organization_id=@OrganizationID) and organization_id = @OrganizationID

  INSERT INTO dbo.secu_permission (created_by, modified_by, object_type, object_key, operation_type, subject_type, subject_key, organization_id)
  SELECT DISTINCT 'AS-IP', 'AS-IP',2, module_instance_id, operation_type, subject_type, subject_key, @OrganizationID
  FROM dbo.secu_permission AS sp
  JOIN dbo.port_module_instance AS pmi ON pmi.page_id=@page AND sp.object_type=1 AND pmi.organization_id=sp.organization_id
  WHERE sp.object_key=@parent
  AND sp.organization_id = @OrganizationID

  DELETE FROM dbo.secu_permission
  WHERE object_type = 2 AND object_key IN (SELECT child.module_instance_id FROM port_module_instance AS child JOIN port_module_instance AS parent ON parent.module_instance_id=child.parent_module_instance_id AND parent.organization_id=child.organization_id WHERE parent.page_id=@page AND parent.organization_id = @OrganizationID) AND organization_id = @OrganizationID

  INSERT INTO dbo.secu_permission (created_by, modified_by, object_type, object_key, operation_type, subject_type, subject_key, organization_id)
  SELECT DISTINCT 'AS-IP', 'AS-IP',2, child.module_instance_id, operation_type, subject_type, subject_key, @OrganizationID
  FROM dbo.secu_permission AS sp
  JOIN dbo.port_module_instance AS pmi ON pmi.page_id=@page AND sp.object_type=1 AND pmi.organization_id=sp.organization_id
  JOIN dbo.port_module_instance AS child ON child.parent_module_instance_id=pmi.module_instance_id AND child.organization_id=pmi.organization_id
  WHERE sp.object_key=@parent
  AND sp.organization_id = @OrganizationID


 INTO @page


CLOSE PageCursor

## Data records, kept here for reference
(1)
Below is a relaxed YScCl crystal, with properties calculated at the PBE level.

Properties
The raw formation energy is -721 meV/atom. The value obtained for the calculated volume is 74 Å³/f.u. The total energy is -5.60 eV per atom. The relative energy among the computed polymorphs is 0.151 eV/atom. Its space group is Fmm2 (42).

Cell: 3.6921 5.7851 13.9095 Å, 90.00 90.00 90.00°
Element x y z (fractional)
1 Y 0.0000 0.0000 0.0000
2 Y 0.0000 0.5000 0.5000
3 Y 0.5000 0.0000 0.5000
4 Y 0.5000 0.5000 0.0000
5 Sc 0.0000 0.0000 0.3180
6 Sc 0.0000 0.5000 0.8180
7 Sc 0.5000 0.0000 0.8180
8 Sc 0.5000 0.5000 0.3180
9 Cl 0.0000 0.0000 0.6674
10 Cl 0.0000 0.5000 0.1674
11 Cl 0.5000 0.0000 0.1674
12 Cl 0.5000 0.5000 0.6674

=====

(2)
Below is a relaxed Nb2SiPPb crystal, with properties calculated at the PBE level.

Properties
The raw formation energy is 2130 meV/atom. The value obtained for the calculated volume is 135 Å³/f.u. The total energy is -4.81 eV per atom. Its space group is P4/mmm (123).

Cell: 5.2731 5.2731 4.8385 Å, 90.00 90.00 90.00°
Element x y z (fractional)
1 Nb 0.0000 0.5000 0.0000
2 Nb 0.5000 0.0000 0.0000
3 Si 0.0000 0.0000 0.5000
4 P 0.5000 0.5000 0.5000
5 Pb 0.5000 0.5000 0.0000

=====

(3)
Below is a relaxed Pa3Ge4Ir2 crystal, with properties calculated at the PBE level.

Properties
The value obtained for the calculated volume is 183 Å³/f.u. The total energy is -7.84 eV per atom. The value obtained for the formation energy is -0.656 eV per atom. Its space group is C2/m (12).

Cell: 5.7677 5.7677 8.2214 Å, 103.36 103.36 43.84°
Element x y z (fractional)
1 Pa 0.0000 0.0000 0.0000
2 Pa 0.3255 0.3255 0.3418
3 Pa 0.6745 0.6745 0.6582
4 Ge 0.0350 0.0350 0.3683
5 Ge 0.2847 0.2847 0.9479
6 Ge 0.7153 0.7153 0.0521
7 Ge 0.9650 0.9650 0.6317
8 Ir 0.3784 0.3784 0.7007
9 Ir 0.6216 0.6216 0.2993

=====

(4)
Below is a relaxed Mg2AgMo crystal, with properties calculated at the PBE level.

Properties
The value obtained for the calculated volume is 72 Å³/f.u. The total energy is -4.02 eV per atom. The value obtained for the formation energy is 0.201 eV per atom. The relative energy among the computed polymorphs is 0.091 eV/atom. Its space group is R-3m (166).

Cell: 2.9405 2.9405 28.6891 Å, 90.00 90.00 120.00°
Element x y z (fractional)
1 Mg 0.0000 0.0000 0.2504
2 Mg 0.0000 0.0000 0.7496
3 Mg 0.3333 0.6667 0.4163
4 Mg 0.3333 0.6667 0.9170
5 Mg 0.6667 0.3333 0.0830
6 Mg 0.6667 0.3333 0.5837
7 Ag 0.0000 0.0000 0.0000
8 Ag 0.3333 0.6667 0.6667
9 Ag 0.6667 0.3333 0.3333
10 Mo 0.0000 0.0000 0.5000
11 Mo 0.3333 0.6667 0.1667
12 Mo 0.6667 0.3333 0.8333

Thursday, July 25, 2013

Don't go hunting with Reflection

So, apparently .NET's reflection doesn't like Properties that are marked Private. Oops. That's three hours of my life and a few forehead-shaped indentations in my desk I'd like back. Just thought I'd share. Carry on.